A decade ago, Thomas Murphy was a college dropout who used alcohol and drugs to deal with undiagnosed depression. Now he’s back at the University of Wisconsin-Madison, where he co-leads a chapter of Active Minds, a national, student-run group promoting open conversations about mental illness.
Therapy made the difference for Murphy. But he can’t receive it at school. When he re-enrolled at UW-Madison and went to the counseling center, he walked out with no appointment and a list of referrals.
“They couldn’t help me because of my extensive history,” Murphy said. “So I go out and pay on my own for the services I need.”
Murphy’s story underscores a national dilemma: a surge in students seeking intensive counseling and psychiatric care, which college mental health centers often lack resources to provide. The problem has become even more urgent in the wake of mass shootings by troubled students at Virginia Tech and Northern Illinois universities.
In Wisconsin, understaffed counseling centers are prioritizing services for those with urgent needs, expanding group therapy options to reach more students, and referring patients off campus for long-term treatment. And students like Murphy are forming campus organizations to support peers and fight the stigma of mental illness.
A growing need
Step onto a U.S. college campus today and you’ll still find students rushing between classes or holding hands with first loves.
But 80 percent of college counseling center directors reported seeing more students in crisis during the past five years, according to a national survey in 2011. The same study found that students with severe psychological problems now account for nearly 40 percent of counseling center visits — more than double the proportion in 2000.
Last spring, 19 percent of college students surveyed by the American College Health Association said they’d been diagnosed with depression sometime in their lives, up from 12 percent a decade ago. Almost one in five students had seriously considered suicide.
These statistics aren’t all bad news, said psychologist Danielle Oakley, director of mental health services at UW-Madison, where counseling visits increased 10 percent last year alone. More people know about mental illness and are seeking help, and better psychiatric medications enable some to attend college who couldn’t have a generation ago.
But Oakley said the faltering economy is fueling worries about paying for school. Many students are stressed, overworked and sleep-deprived, which can cause mental health problems.
Though studies show people with serious mental illness usually aren’t violent, there have been tragic exceptions: In 2007 and 2008, troubled students shot themselves after killing 37 people and wounding dozens more at Virginia Tech and Northern Illinois universities.
Campuses across the country responded by revamping policies for handling disturbed students and staff. At UW campuses, threat assessment teams — whose members hail from deans’ offices, academic departments, campus police, and counseling centers — try to identify and help such people before they hurt themselves or others.
“If there is a silver lining in something like that happening, it’s put the spotlight on some needs on our campus,” said John Achter, counseling director at UW-Stout.
Still, most people with mental illness fly under the teams’ radar. And despite attempts to meet demand, Wisconsin students are being turned away — or told to wait weeks for care.

Long waits, but some improvements
# Here the piece breaks off for records of crystals
/*
1.
DFT (PBE-GGA) results for a relaxed structure of GdAsPbO.

Results
* energy above the lowest structure with this stoichiometry: 0 meV/atom
* total moment: 0.0 μB/f.u.
* final energy: -5.917 eV/atom

Unit cell a=4.3103 b=4.3103 c=9.6193 alpha=90.00 beta=90.00 gamma=90.00
Last column: nearest neighbours and their distance in Å.
Element x y z (fractional)
Pb1 0.2500 0.7500 0.5000  4 Pb 3.05, 4 As 3.10
As1 0.7500 0.7500 0.2686  4 Pb 3.10, 4 O 3.36
Gd1 0.2500 0.2500 0.0958  4 O 2.34
Gd2 0.7500 0.7500 0.9042  4 O 2.34
O1 0.2500 0.7500 0.0000  4 Gd 2.34
O2 0.7500 0.2500 0.0000  4 Gd 2.34
As2 0.2500 0.2500 0.7314  4 Pb 3.10, 4 O 3.36
Pb2 0.7500 0.2500 0.5000  4 Pb 3.05, 4 As 3.10

2.
DFT (PBE-GGA) results for a relaxed structure of GdAsPbO.

Results
* energy above the lowest structure with this stoichiometry: 361 meV/atom
* total moment: 0.0 μB/f.u.
* final energy: -5.556 eV/atom

Unit cell a=5.6624 b=5.6624 c=5.5322 alpha=90.00 beta=90.00 gamma=90.00
Last column: nearest neighbours and their distance in Å.
Element x y z (fractional)
Pb1 0.2500 0.2500 0.0090  2 As 2.76-2.78, 4 O 2.83
Gd1 0.7500 0.2500 0.5000  2 O 2.77, 4 As 2.83
As1 0.2500 0.2500 0.5107  2 Pb 2.76-2.78, 4 Gd 2.83
Gd2 0.2500 0.7500 0.5000  2 O 2.77, 4 As 2.83
Pb2 0.7500 0.7500 0.9910  2 As 2.76-2.78, 4 O 2.83
As2 0.7500 0.7500 0.4893  2 Pb 2.76-2.78, 4 Gd 2.83
O1 0.7500 0.2500 0.0000  2 Gd 2.77, 4 Pb 2.83
O2 0.2500 0.7500 0.0000  2 Gd 2.77, 4 Pb 2.83

3.
DFT (PBE-GGA) results for a relaxed structure of GdAsPb2O6.

Results
* total moment: 0.0 μB/f.u.
* final energy: -5.393 eV/atom

Unit cell a=5.9656 b=5.9656 c=5.9656 alpha=60.00 beta=60.00 gamma=60.00
Last column: nearest neighbours and their distance in Å.
Element x y z (fractional)
Pb1 0.2500 0.2500 0.2500  6 O 2.11
O1 0.0000 0.0000 0.5000  2 Pb 2.11
O2 0.5000 0.5000 0.0000  2 Pb 2.11
O3 0.5000 0.0000 0.0000  2 Pb 2.11
O4 0.0000 0.5000 0.0000  2 Pb 2.11
O5 0.0000 0.5000 0.5000  2 Pb 2.11
Pb2 0.7500 0.7500 0.7500  6 O 2.11
As1 0.0000 0.0000 0.0000  12 O 2.98
Gd1 0.5000 0.5000 0.5000  12 O 2.98
O6 0.5000 0.0000 0.5000  2 Pb 2.11

4.
DFT (PBE-GGA) results for a relaxed structure of GdAsPbO.

Results
* energy above the lowest structure with this stoichiometry: 70 meV/atom
* total moment: 0.0 μB/f.u.
* final energy: -5.846 eV/atom

Unit cell a=5.0551 b=6.6048 c=6.4467 alpha=90.00 beta=90.00 gamma=90.00
Last column: nearest neighbours and their distance in Å.
Element x y z (fractional)
Gd1 0.5000 0.3526 0.0418  2 O 2.14-2.18
Pb1 0.0000 0.7728 0.9400  2 O 2.71, 2 As 2.92-2.93
O1 0.5000 0.3641 0.3792  2 Gd 2.14-2.18
As1 0.0000 0.7865 0.3931  2 Gd 2.86, 2 Pb 2.92-2.93
O2 0.5000 0.6359 0.8792  2 Gd 2.14-2.18
Gd2 0.5000 0.6474 0.5418  2 O 2.14-2.18
As2 0.0000 0.2135 0.8931  2 Gd 2.86, 2 Pb 2.92-2.93
Pb2 0.0000 0.2272 0.4400  2 O 2.71, 2 As 2.92-2.93

5.
DFT (PBE-GGA) results for a relaxed structure of GdAsPdO.

Results
* energy above the lowest structure with this stoichiometry: 403 meV/atom
* total moment: 0.0 μB/f.u.
*/
UW-Madison senior Rachel Steidl was one such student. “I grew up really focused on helping other people,” she said. “When I had my own problems with depression, I didn’t feel like I had anyone to turn to. I was pretty lonely my freshman year.”
Steidl later saw a psychology intern at the campus counseling center. She learned to open up more and made friends. When she returned to the center this year, an intake provider saw her the same day to assess her needs.
That’s because at Oakley’s urging, UW-Madison began offering same-day assessments in early 2011.
“We don’t want any barriers to get to us,” Oakley said. “The day you decide that you want support, all you have to do is walk in.”
But what happened next frustrated Steidl. Because her immediate needs weren’t deemed urgent, she said, she was asked to wait three weeks for her next appointment.
“If my depression gets worse, it could escalate,” she said. “I want to avoid getting to the point where I have to call the crisis hot line.”
Most UW campuses use such triage systems to help students in crisis first. A UW-Eau Claire student, for example, was prescribed Paxil when she sought help for panic attacks in 2009. After she stopped eating and sleeping and went on a “financially disastrous” shopping spree, her campus counselor and psychiatrist correctly identified and treated her bipolar disorder — ending eight years of bouncing between clinicians who’d misdiagnosed her.
“They saved my life. Literally,” said the former student, who now works as a pet groomer, and asked that her name not be published. “I wasn’t able to complete a degree, but they gave me a brighter future than education.”
But Steidl’s wait time is more typical. Last fall, UW-Madison students went an average of 14 days between their intake appointment and first regular counseling session, said Dr. Sarah Van Orman, health services director. Other UW campuses report similar waits.
Such delays stem partly from inadequate staffing. A UW System audit found that five years ago, only UW-Madison met the international standard of one mental health professional for every 1,000 to 1,500 students. The auditors recommended that over the short term, UW institutions aim to employ one mental health staffer for every 2,000 students.
But as of 2011, just eight of 13 campuses had achieved that ratio, an analysis by the Wisconsin Center for Investigative Journalism showed. Of those, only two schools — UW-Stevens Point and UW-Superior— met the international standard.
The average was about one mental health provider for every 2,027 students across the 13 campuses.
To improve counselors’ availability, UW-Madison wait-lists students for earlier sessions, offers daily drop-in groups and confidential consultations in several campus locations, and has more than 25 process and support groups to help students deal with issues ranging from low self-esteem, grief and social anxiety to graduating or coming out as a sexual minority.
None of these options was right for Steidl, though. She found a therapist in private practice.

Referred off campus, some never find help
It took a violent mugging in the Dominican Republic in 2008 for Thomas Murphy to finally face his depression. During rehabilitation for a brain injury, he also got the counseling he’d needed.
Milwaukee native Mary Martinco sought help sooner, seeing a therapist for depression for two years in high school. But transitioning to UW-Madison was painful.
“Freshman year I felt so alone, crying all the time,” recalled Martinco, now a junior.
Like Murphy, Martinco sought help at UW-Madison’s counseling services and left with a list of off-campus referrals. But in her case, they either weren’t a good match or didn’t take her insurance. In the end, it was her mother, not her school, who helped her find a therapist.
Most UW counseling centers limit students’ counseling sessions. UW-Madison students like Martinco, who need more than the 10 permitted each academic year, are often asked to go elsewhere from the beginning.
Oakley said that’s because making students change therapists disrupts their treatment. But a 2006 University of California-Davis study found that 42 percent of students referred off campus never connected with providers — usually because of financial concerns.
To address that problem and help prevent tragedies like those at Northern Illinois and Virginia Tech, UW System officials recommended in 2008 that campus providers follow up with high-risk students to help ensure they’re successfully referred.
A half-time case manager now fills this role at UW-Oshkosh. And in 2010, after Martinco’s failed referral experience, UW-Madison hired a full-time case manager who saw 300 students her first year— five times more than expected.
Still, lack of health insurance “poses great barriers” for students referred off campus, Van Orman said. She cited campus surveys that show 6 to 8 percent of students at UW-Madison are uninsured and another 30 to 40 percent have no coverage in the Madison area.
The case manager connects these students to agencies that charge a fraction of the going rate or to the student health insurance plan. She also helps students navigate deductibles and co-pays.
Some students struggle to pay for psychiatric prescriptions. Martinco saw peers risk going off medication when short on cash. She and Murphy said they knew students who self-medicated with alcohol or illegal drugs because they couldn’t afford mental health care.
“The self-medication issue is complex,” Oakley said. “For example, students who use substances such as alcohol to treat anxiety can end up with substance abuse problems in addition to their anxiety.”
Alcohol withdrawal symptoms can mimic anxiety, Oakley added, leading students to drink more or use stronger drugs. In the end, she said, money spent on drugs and alcohol, lost time at work, medical treatment for accidents and legal consequences can far outstrip medication costs.

Student groups expand
Frustrated by her experiences on campus, Steidl joined fellow student Matt Vohl two years ago in reviving the campus chapter of the National Alliance on Mental Illness.
“We saw a lack of resources available for students with mental illness or even just mental health problems,” Vohl said. “We wanted to offer an alternative.”
Students responded en masse: More than 70 signed up at the campus organizational fair last September, Vohl said. A month later, they peppered Bascom Hill with signs.
“The best way to reduce the stigma is by educating people,” Vohl said. “We want to let people know that (mental illness) is not this inherent condition that makes people freaks, it’s not demonizing, it shouldn’t be taboo. It’s something that can affect anyone.”
Steidl and Vohl are working with the counseling center to train students to provide confidential, face-to-face support for peers who want to talk about everyday problems.
“You can go there and know that people kind of understand you at least,” said a member with obsessive-compulsive disorder who asked not to be named for privacy reasons. “You get to know their struggles every day, whatever they are, and to be there to be support for them and other people as well.”
Murphy and Martinco now run UW-Madison’s branch of Active Minds, which promotes mental health awareness. Five other Wisconsin campuses also have chapters. At UW-Parkside last semester, members practiced yoga, colored and made squeezable stress balls.
“Finally I feel able to talk about it, and I want to help others talk about it too,” Martinco said.
“I had this deeper, darker side that I never talked about,” Murphy agreed. “For me, communicating my emotions, my struggles, and my successes has been vital.”
Editor’s note: The name of the former UW-Eau Claire student quoted in this report was removed on Oct. 30, 2012, at the request of the former student.
The nonprofit Wisconsin Center for Investigative Journalism (www.WisconsinWatch.org) collaborates with Wisconsin Public Radio, Wisconsin Public Television, other news media and the UW-Madison School of Journalism and Mass Communication. All works created, published, posted or disseminated by the Center do not necessarily reflect the views or opinions of UW-Madison or any of its affiliates.
Terrific article, Amy, about a severe but under-recognized and under-served problem.
fight the stigma of mental illness.
Though studies show people with serious mental illness usually aren’t violent, there have been tragic exceptions
“The best way to reduce the stigma is by educating people,” Vohl said. “We want to let people know that (mental illness) is not this inherent condition that makes people freaks, it’s not demonizing, it shouldn’t be taboo.
Journalism sometimes fails, above are three examples:
Women fought when we called it “the stigma of” rape, the arguments apply above. So long as you call it stigma, you are a part of the problem.
“People with a serious mental illness are a very diverse group. Some hold doctoral degrees, teach at university. Get to know us, we are far from generic.
What are Jews not? What are Blacks not? It is an interesting form, employed only to introduce a negative. (Not demonizing. Not taboo.)
“Reduce the stigma of rape? I doubt women would have fallen for that one: Keep how much?
Journalism sometimes fails, above it did.
Harold A. Maio, retired Mental Health Editor
Thanks for the trackbacks and comments!
Great story. Very well researched and written. It should be distributed to all colleges and universities throughout the country.